Wednesday 13 November 2013

Corpus Christi

Location: The Space, Isle of Dogs.

Back with OutFox again! Stage managing this time. Thrilled to be reunited with director a John Fricker for his third production with OutFox. Corpus Christi tells the story of Jesus. In Texas. With a gay marriage.

It's brilliant!! 

The play features an ensemble of thirteen who remain onstage throughout. This frees me from backstage roles to operate lighting and sound. I love backstage but this means I get to watch the show each night. We're into our second week of rehearsal and it's looking really good so I'm glad to be able to see it.

Monday 21 October 2013

Everything Theatre

Location: My Flat

I've just joined the reviewing team at Everything Theatre following my trial on Wednesday. My bio had been added to the website:

Looking forward to writing with Everything Theatre!

Monday 7 October 2013

Guest Blog

Location: My Flat.

I've recently joined online arts publication Avenir Magazine as a guest blogger. My first blog, a perspective on the role of the stage manager, is online now.

You can read it here.

I really enjoyed writing this blog and hope to start another one soon.

Sunday 6 October 2013

Ah, Sunday.

Location: My Flat.

The first week of the Marigolds run is complete! Following a sell-out show last night, we're all having some much needed time off. A luxurious two whole days before our next show on Tuesday. I'm very much enjoying my relaxed Sunday.

Press night went very well indeed. We were all very pleased with the show that we delivered to the reviewers who came along. Every element was at its peak - the sound and lighting were sharp, the look of it was sublime and the performances were incredible - I was thrilled. The audience seemed to like it too. I spent the rest of the evening grinning like a fool.

We've had our first review out from Everything Theatre this morning - a fantastic four star write up - I couldn't be happier.

My housemate (and co-founder of Absent Theatre) Eleanor came to see the show on press night. She gave me permission to use our Absent Theatre warm up 'bananas of the world' with the cast. Its a silly routine we always do before every Absent show and it brings us luck. In return I'd left a nod from our last Absent show onstage - a jam jar containing coloured pencil crayons. These were a prominent feature of the set in On Beauty, the play we took to France.

Its great sharing this work with my friends and loved ones. My housemates from university, Cat and Amy, came to see the show last night. The last time we were all together was at Old Rabbis in the Sky at The Tristan Bates in March 2012. It was fantastic to see both of them. Cat is a qualified teacher and working in a secondary school, Amy is studying for a PhD at Royal Holloway. She's recently been diagnosed with a neurological movement condition called Distonia. She's writing a blog about her PhD research and her condition - you can see it here.

In other news, I will be working with Immersion Theatre again in the new year! James and Rochelle have invited me to assistant direct their touring production of A Midsummer Night's Dream. Its going to be a really exciting project. Two versions of the play, a comic take and a dark take in rep in theatres around the country! Can wait to work with James again after Measure for Measure.

Its been a lovely Sunday for me and directing work.

Check out David Monteith-Hodge's production shots for Marigolds here.

Monday 23 September 2013

Stuff. A Lot Of Stuff.

Location: The Brockley Jack Studio Theatre, London

Final week of rehearsals, its looking good! We're running the show every day and tweaking and tightening scenes. Its been great fun too, we're laughing a lot in rehearsals. Its been a very interesting process. Working with new people can introduce you to new skills and approaches that you may have not considered before. Alternatively you might discover a new method or exercise which is born from its requirement in the current rehearsal, but can be used in future projects. Working with this cast we really delved into the historical and cultural background of the time and location we were using - something I've never felt the need to do before. Ana, our accent coach, has provided a fantastically rounded view of not only American expressions and accents, but loads of information on the what it would be like to live in a town like the one we're setting our play in. We looked at music, films and historical events of that year and preceding years. We even looked at the chronology of our play and worked out how much time had passed between scenes, and key events that occurred both before the play begins and during the timeline of the play. If you're curious, our play begins on the Wednesday 17th March 1971.

It may seem like an indulgent exercise, but the things we discovered in this discussion informs other aspects of the play. By pinpointing the exact location of the play and the month the action occurs in, we could deduce what the weather would be like. This information feeds through to costume. They can then communicate this through the types of clothing that they select, as well as helping to communicate the passage of time as each character wears several different outfits in the play. Our lighting designer also can use this information to make sure the light coming through the window is accurate - no point having glorious summer sunshine if its a chilly spring morning! These tiny details are not explicitly telling an audience these facts, but they all contribute to giving a consistent and realistic presentation of the environment we're setting the story in.

We have rehearsal shots online now too! David Monteith-Hodge came to see a run-through of the play and took some gorgeous photographs. You can see David's website here. I love rehearsal shots - can capture some fun moments of the team as well as the scenes we're working on.

The one thing that became hugely apparent after only a few rehearsals is the sheer amount of STUFF involved in this play. Considering the play is set in a dilapidated family home, it is logical to assume that a lot of their possessions will be visible onstage. Mr Zindel even calls for lots of junk in his stage directions. The amount of stuff in the play becomes oppressive. I always remember someone saying that a messy bedroom can affect your resting state of mind and quality of sleep - I completely agree with that statement! The script also contains a lot of dialogue which exists in the background of a task - that is to say that I can see the characters doing a task (reading the paper, making a drink) and talking at the same time. Its true of life - how often do people sharing a home just talk to each other, completely focused on the other person? We're all involved in our own activities and relating to each other simultaneously. Our rule of thumb is "if you're not doing stuff in a scene, you probably should be" so the props list is huge! We're thinking of things the characters might be doing while talking. Its a mammoth task for our lovely ladies, who are having to remember all the blocking and the prop-work as well as all the lines. They're doing a smashing job. The production team are also doing fantastically to source all of the props we're looking for. Many kitchens, charity shops and theatres have been raided and our rehearsals are full of these props. But I must say it looks great seeing the actors using them while talking. Some plays call for it - 'On Beauty' anyone?

Book tickets here!!

Saturday 7 September 2013

First Week of Marigolds

Location: My flat.

The first week of rehearsals for The Effect of Gamma Rays on Man-in-the-Moon Marigolds is over!

The read through was great - it was thrilling to see the entire cast and crew in the room together. We have such a an exciting and talented bunch of people devoting their skills to this show, it was a real buzz to have them all together to embark on this together. Now the crew will all disperse to work on their separate contributions to the show, and slowly we will come back together, feeding in these elements, finally culminating in the technical rehearsal on the 30th September.

But for now, I will be shut in a room with five fantastic actors while we explore the play, set it on its feet and start making choices about the five characters. Our first two days of rehearsal were great. Its becoming more and more apparent that the props list will grow to ridiculous proportions! The amount of "stuff" in the family's house becomes such a powerful influence - so we're taking that route!

We have a small but beautifully formed cast. I have had the pleasure of directing two of them before, Evelyn Campbell has been in OutFox's Spring Awakening, and also involved in Lost/Faith/Art with Absent Theatre and Grace Lyons Hudson was recently in Measure for Measure, which I assistant directed. Sophie Doherty was also involved in Spring Awakening, so I have worked with her before (as stage manager). We also have Katherine Rodden and Clare Almond, two gems found in auditions, and both are bringing fantastic work to rehearsals and I'm excited for the next few weeks as we work together. We have also found a stage manager who will be joining us next week, so our team is complete! Really looking forward to  having Rosanna in the room.

The Marigolds team on the first day.

Evelyn, Me, Kate and Sophie.

Thursday 29 August 2013

The Effect of Gamma Rays on Man-in-the-Moon Marigolds

## Next to the piece, the page also holds crystal structures
********
[1]
Diffraction record for Sm2Ta2O9. The X-ray diffraction stick pattern is calculated, not measured: it uses a structure optimized by DFT (PBE) and λ = 1.5418 Å (Cu Kα).
Peak positions follow from Bragg's law for the DFT cell and can differ from measured ones.

Cell and atoms:
```
Sm2Ta2O9
1.0
7.744 -1.940 0.000
7.744 1.940 0.000
-2.503 0.000 6.167
Sm Ta O
2 2 9
Direct
0.195 0.195 0.187
0.805 0.805 0.813
0.459 0.459 0.192
0.541 0.541 0.808
0.051 0.051 0.848
0.220 0.220 0.562
0.322 0.322 0.079
0.418 0.418 0.839
0.500 0.500 0.500
0.582 0.582 0.161
0.678 0.678 0.921
0.780 0.780 0.438
0.949 0.949 0.152
```

Largest 10 diffraction maxima, low angle first, 5 to 70 degrees two-theta:
two_theta, I/Imax
14.36, 79
23.53, 88
23.76, 51
29.08, 70
29.65, 100
30.29, 58
33.28, 49
35.86, 50
46.85, 52
47.30, 52


[2]
Diffraction record for SrAl3Ga. The X-ray diffraction stick pattern is calculated, not measured: it uses a structure optimized by DFT (PBE) and λ = 1.5418 Å (Cu Kα).
Peak positions follow from Bragg's law for the DFT cell and can differ from measured ones.

Cell and atoms:
```
SrAl3Ga
1.0
-2.212 2.212 5.579
2.212 -2.212 5.579
2.212 2.212 -5.579
Sr Al Ga
1 3 1
Direct
0.000 0.000 0.000
0.253 0.753 0.500
0.618 0.618 0.000
0.753 0.253 0.500
0.386 0.386 0.000
```

Largest 10 diffraction maxima, low angle first, 5 to 70 degrees two-theta:
two_theta, I/Imax
15.89, 23
28.53, 50
31.42, 98
32.82, 100
40.79, 62
45.53, 48
52.38, 45
59.06, 20
62.76, 37
69.23, 22

~~~~~

No. 1
# CuPt
Computed powder X-ray diffraction pattern, λ = 1.5418 Å (Cu Kα). Input: a crystal structure in Alexandria, relaxed with PBE.
Kinematic intensities with the Lorentz-polarization factor, no thermal factor.

```
data_CuPt
_chemical_formula_sum 'Cu12 Pt12'
_space_group_name_H-M_alt 'C m m 2'
_space_group_IT_number 35
_space_group_name_Hall 'C 2 -2'
_cell_length_a 5.4382
_cell_length_b 7.6210
_cell_length_c 8.1448
_cell_angle_alpha 90.00
_cell_angle_beta 90.00
_cell_angle_gamma 90.00
loop_
_atom_site_label
_atom_site_type_symbol
_atom_site_fract_x
_atom_site_fract_y
_atom_site_fract_z
Cu1 Cu 0.0000 0.0000 0.0000
Cu2 Cu 0.0000 0.0000 0.3185
Cu3 Cu 0.2500 0.2500 0.1628
Cu4 Cu 0.2500 0.2500 0.4834
Pt1 Pt 0.0000 0.0000 0.6397
Pt2 Pt 0.0000 0.5000 0.9998
Pt3 Pt 0.0000 0.5000 0.3237
Pt4 Pt 0.0000 0.5000 0.6528
Pt5 Pt 0.2500 0.2500 0.8315
```

Main lines, low angle first (15° ≤ 2θ ≤ 90°):
| two_theta | d_spacing | I (rel.) |
| --- | --- | --- |
| 20.1 | 4.427 | 7 |
| 32.2 | 2.782 | 7 |
| 40.8 | 2.212 | 100 |
| 47.3 | 1.921 | 32 |
| 47.7 | 1.905 | 16 |
| 69.5 | 1.353 | 20 |
| 83.5 | 1.158 | 23 |
| 84.1 | 1.151 | 12 |

No. 2
# ZnAuC
Computed powder X-ray diffraction pattern, λ = 1.5418 Å (Cu Kα). Input: a crystal structure in Alexandria, relaxed with PBE.
Kinematic intensities with the Lorentz-polarization factor, no thermal factor.

```
data_ZnAuC
_chemical_formula_sum 'Zn2 Au2 C2'
_space_group_name_H-M_alt 'P 1'
_space_group_IT_number 1
_space_group_name_Hall 'P 1'
_cell_length_a 3.4165
********

Location: My flat, Sydenham.

I am back home and have taken care of all essential return-to-normal admin. I have slept, done my laundry and unpacked, cleaned my room, bought groceries and gone to the gym. What with the high volume of work this summer I'm something of a stranger there! But its time to look to the next project, something I'm incredibly excited about.

This October (as you may know) I'm directing a show with OutFox Productions. As an associate of the company, I have stage managed all three of their previous shows. To be given the opportunity to direct is such an honour and I'm thrilled to be directing with this fantastic company at The Brockley Jack Studio Theatre. This will be my fifth production at The Jack and I really enjoy working in this space. The play is called 'The Effect of Gamma Rays on Man-in-the-Moon Marigolds' by Paul Zindel. Its a beautiful piece, which I find hard to describe, but what stands out for me is the oppressive home life the family in the play struggle through - which is mostly self-imposed - and their coping methods. The cast features five female roles, of varying ages, and I'm looking forward to directing a female-only production. We're due to find our final two actresses in auditions tomorrow, then on to a production meeting before our first sound recording next week. Its all kicking off!

(Calculated crystals, as found in the file)
'''
(1)
Calculated powder X-ray diffraction pattern
Compound: Li3CrP2O9
Radiation: Cu Kα
Structure: a DFT-relaxed cell (GGA+U, the Materials Project)
Peak positions follow from Bragg's law for the DFT cell and can differ from measured ones.

Structural model:
Cell lengths 6.841, 7.134, 8.006 Å; angles 89.00, 64.77, 87.24 degrees
Fractional coordinates of all 30 atoms:
Li 0.000 0.000 0.000
Li 0.082 0.258 0.304
Li 0.204 0.514 0.610
Li 0.462 0.451 0.057
Li 0.686 0.067 0.556
Li 0.838 0.762 0.803
Cr 0.086 0.763 0.299
Cr 0.580 0.756 0.308
P 0.195 0.051 0.555
P 0.474 0.002 0.011
P 0.698 0.518 0.601
P 0.958 0.465 0.057
O 0.031 0.558 0.868
O 0.075 0.995 0.433
O 0.087 0.959 0.743
O 0.092 0.529 0.166
O 0.197 0.263 0.547
O 0.262 0.887 0.070
O 0.307 0.669 0.331
O 0.410 0.194 0.102
O 0.440 0.974 0.461
O 0.533 0.613 0.531
O 0.594 0.521 0.809
O 0.597 0.994 0.803
O 0.632 0.889 0.081
O 0.712 0.536 0.164
O 0.764 0.324 0.509
O 0.850 0.845 0.283
O 0.902 0.643 0.542
O 0.970 0.253 0.065

Most intense lines, 10° ≤ 2θ ≤ 90°, by angle:
- d = 7.242 Å, 12.22°, I 92.9
- d = 7.126 Å, 12.42°, I 100.0
- d = 5.079 Å, 17.46°, I 75.8
- d = 4.774 Å, 18.59°, I 72.9
- d = 4.572 Å, 19.42°, I 41.1
- d = 3.490 Å, 25.52°, I 37.4
- d = 3.411 Å, 26.13°, I 47.8
- d = 3.231 Å, 27.61°, I 64.0
- d = 3.194 Å, 27.93°, I 60.5
- d = 3.090 Å, 28.90°, I 56.7

(2)
Calculated powder X-ray diffraction pattern
Compound: Mn5O8
Radiation: Cu Kα
Structure: a DFT-relaxed cell (GGA+U, the Materials Project)
Peak positions follow from Bragg's law for the DFT cell and can differ from measured ones.

Structural model:
Cell lengths 6.188, 6.188, 6.188 Å; angles 57.96, 57.96, 57.96 degrees
Fractional coordinates of all 13 atoms:
Mn 0.000 0.000 0.000
Mn 0.000 0.500 0.500
Mn 0.500 0.000 0.500
Mn 0.500 0.500 0.000
Mn 0.500 0.500 0.500
O 0.248 0.248 0.706
O 0.248 0.706 0.248
O 0.269 0.269 0.269
O 0.294 0.752 0.752
O 0.706 0.248 0.248
O 0.731 0.731 0.731
O 0.752 0.294 0.752
O 0.752 0.752 0.294

Most intense lines, 10° ≤ 2θ ≤ 90°, by angle:
- d = 5.129 Å, 17.29°, I 100.0
- d = 4.920 Å, 18.03°, I 28.7
- d = 4.304 Å, 20.64°, I 12.6
- d = 2.561 Å, 35.03°, I 36.0
- d = 2.460 Å, 36.53°, I 22.5
- d = 2.152 Å, 41.98°, I 96.5
- d = 1.678 Å, 54.72°, I 16.0
- d = 1.545 Å, 59.85°, I 24.7
- d = 1.499 Å, 61.90°, I 26.1
- d = 1.439 Å, 64.80°, I 12.2

(3)
Calculated powder X-ray diffraction pattern
Compound: Zn2FeIrO6
Radiation: Cu Kα
Structure: a DFT-relaxed cell (GGA+U, the Materials Project)
Peak positions follow from Bragg's law for the DFT cell and can differ from measured ones.

Structural model:
Cell lengths 5.222, 5.228, 9.304 Å; angles 90.00, 123.92, 90.00 degrees
Fractional coordinates of all 20 atoms:
Zn 0.246 0.032 0.254
Zn 0.246 0.468 0.754
Zn 0.754 0.532 0.246
Zn 0.754 0.968 0.746
Fe 0.500 0.000 0.000
Fe 0.500 0.500 0.500
Ir 0.000 0.000 0.500
Ir 0.000 0.500 0.000
O 0.126 0.086 0.744
O 0.126 0.414 0.244
O 0.238 0.679 0.569
O 0.238 0.821 0.069
O 0.386 0.174 0.562
O 0.386 0.326 0.062
O 0.614 0.674 0.938
O 0.614 0.826 0.438
'''

The production team is compiled of an incredibly talented group of people who have worked on previous OutFox productions. We have Gina Rose Lee (Spring Awakening, Carbon Dating) as Designer. I loved her bold, clean designs for Spring and Carbon and I'm excited to see how Marigolds will look! William Ingham (Rope) is back as Lighting Designer, if you want a preview of his work check out Sam Rose in the Shadows at Greenwich Theatre (3rd - 7th Sept). Mark Webber (Carbon Dating, Rope) is back making beautiful noises as Sound Designer and we have Emma Treleaven (Rope) as Costume Supervisor. I have worked with Mark and Emma before as director, on Absent Theatre's show On Beauty, and cannot wait to resume the working relationship we had on that awesome project. As the play is set in America, we also have Spring Awakening and Rope actress Ana Luderowski coming on board as Accent Coach, which gives me great relief to know this is in capable hands.

I've been busy sectioning and prepping the script ahead of rehearsals starting next week. It feels like its been ages since we announced the show - and now its finally beginning! We've even sold some tickets for the show - that's because we have producing powerhouse Kirsty Fox on the case! I met with Artistic Director John Fricker yesterday to talk about castings and to have a drink at our favourite theatre/pub. John is also taking a producer's role for this one, I will miss being with him in The Jack rehearsal room (as director and stage manager), but I'm sure he'll pop in and say hi. He's also working on his own prep for Corpus Christi at The Space. Its a busy time for OutFox!

So until rehearsals begin I'll leave you with this final note:

This is a very exciting project for me and I'd love your support. Lets make a deal. You buy a ticket to this show and I promise to make it an amazing night at the theatre. Deal? Ok.

Show information and tickets here!
